The time has come to say goodbye to February, which filled our hearts with love ! We started March and mmm, it almost smells like spring! This month has gone by very quickly and it is not surprising. Had you realized that it is the shortest month of the year ? Today we tell you why!

How many days are there in February?

We know, or perhaps you know now, that February has only 28 days , unlike the others that alternate between 30 and 31. With the exception of July and August, which are repeated! Do you know the knuckle trick to know how many you have each month?

Every four years, it is said that we have a leap year and, in that, February becomes 29 days instead of 28 . Imagine that that day is your birthday! You would have to wait another four to celebrate it again on the corresponding day!

And what exactly are these leap years? Well , it is related to the seasons and the rotation of the Earth around the Sun. Our planet takes exactly 365.24 days to make a complete revolution. But since we cannot divide one day into four and live only that small part of each year, what is done is that it is saved until it reaches a whole day.

Wait, we'll explain it to you another way. That 0.24 is roughly a quarter of a day. Imagine that you have a circle, and that it represents a day, and you divide it with a cross into four parts; each would be 25% or 0.25, right? Each part is a year, so when those four have passed and you have added all your 25%, you have an extra day. And what is done is to add it to February, which is the shortest.

Why February is the shortest month of the year

You already know part of the story, now we just have to know the reason why February is the shortest month! Back in the 8th century BC , a calendar that only had 10 months was used. Since winter did not contribute anything to the crops, they did not even give these months a name. Can you imagine spending days and days without knowing what time of year it is? Well these days they made a total of 304.

A few years later, a king, Numa Pompilius, thought it didn't make sense, so he added January and February to the end of the calendar , thus covering the 12 lunar cycles that take place in a year. All the elements of nature are related to each other!

[Between two parts of the piece: calculated crystals]
'''
Density functional theory data (GGA-PBE) for a relaxed Ca2Hg3Pb3 crystal.

Lattice parameters (Å, degrees): 4.864 4.874 9.326 90.00 90.00 90.00
Space group Pmmm (No. 47)
Unique sites:
Ca (0.000, 0.000, 0.244) x2
Hg (0.000, 0.500, 0.000) x1
Hg (0.500, 0.500, 0.246) x2
Pb (0.000, 0.500, 0.500) x1
Pb (0.500, 0.000, 0.000) x1
Pb (0.500, 0.000, 0.500) x1

Size of the total moment in μB per cell: 0.0
Raw total energy in eV per atom: -2.31

***

Density functional theory data (GGA-PBE) for a relaxed Rb2NaCd3 crystal.

Lattice parameters (Å, degrees): 11.348 6.753 6.800 90.00 123.55 90.00
Space group C2/m (No. 12)
Unique sites:
Rb (0.121, 0.000, 0.364) x4
Na (0.000, 0.500, 0.500) x2
Cd (0.000, 0.500, 0.000) x2
Cd (0.250, 0.250, 0.000) x4

Size of the total moment in μB per cell: 0.0
Raw total energy in eV per atom: -1.04

***

Density functional theory data (GGA-PBE) for a relaxed Nd4HoTm10 crystal.

Lattice parameters (Å, degrees): 9.725 9.725 11.413 90.00 90.00 90.00
Space group I4/m (No. 87)
Unique sites:
Nd (0.074, 0.671, 0.000) x8
Ho (0.000, 0.000, 0.500) x2
Tm (0.000, 0.500, 0.250) x4
Tm (0.117, 0.773, 0.338) x16

Size of the total moment in μB per cell: 0.0
Raw total energy in eV per atom: -4.13

***

Density functional theory data (GGA-PBE) for a relaxed CaP2Rh crystal.

Lattice parameters (Å, degrees): 6.443 6.443 6.443 90.00 90.00 90.00
Space group Fm-3m (No. 225)
Unique sites:
Ca (0.000, 0.000, 0.000) x4
P (0.250, 0.250, 0.250) x8
Rh (0.000, 0.000, 0.500) x4

Size of the total moment in μB per cell: 0.0
Energy relative to the lowest polymorph listed for this composition in meV/atom: 498
'''

But since they were very superstitious at this time, they wanted the months to end in odd numbers. Most months had 29 and 31 days, except February, which, because it was the last, remained at 28. After many changes, they were left with a year of only 355 days.

But this gave rise to a multitude of problems. Finally, it was Julius Caesar who reformed the calendar and adjusted it to the sun, and kept the current 365 days , with months of 30 and 31 days. Perhaps because of the position that February occupied in the order, it was left as it was. And today an extra day is simply added to adjust to the complete cycle of the Earth.

What a mess! Who would have thought it would take so long to get a calendar right! We hope you liked this lesson today and that you remember it when February returns. See you soon!